FWIW, I would very much like to see this happen and am currently available as a freelancer. If you work for or know of some organization that would be interested in funding this, please contact me. (I have previously made several contributions to Cargo and wrote two accepted Rust RFCs.)
another usecase to consider: controlling what size of integer is used for a certain id type.
currently this can be implemented by having multiple features representing different integer widths, and using the largest value.
it's worth noting that this doesn't actually require any changes to rustc
. indeed, features themselves don't require rustc support. it's just a standardized case of the cfg
It would be amazing if globals wasn't limited to enums. In the embedded world you might for example wrap an sdk that lets you configure the number of Bluetooth connections with a define in a c-header. I would like that to be configurable by the app crate and not the sdk-wrapper.
I would love to see for a proper support for configuration flags in Cargo.toml and tooling to be implemented, but I do not quite like the proposal in its current form.
I have 3 motivating examples which currently rely on configuration flags:
crate uses tocfg
to force backend selection. It's useful for testing and to work around the lack of negative target features. Similarcfg
s are used in some other RustCrypto crates.getrandom
to enable optional backends.- In private code we use
to switch between two different environments: one useful for testing purposes, but which introduces certain overheads, another for production which is more efficient, but introduces certain usage restrictions (the environment must be initialized only once during program execution).
I believe that "globals" should be crate-specfic. In other words, as an example I should be able to use static linking for git2
and dynamic linking for openssl
in one project even if both define sys
globals. It also should be possible to provide different globals for semver-incompatible versions of one crate. Finally, tooling should issue warnings (or maybe even opt-in compilation errors) when user set nonexistent globals.
The proposal is also not clear whether optional dependencies dependent on globals will be included in Cargo.lock or not. Some users are sensitive to lock file bloat, so it's worth to clarify this aspect.
I would prefer for globals to look roughly like this:
name = "git2"
version = "0.1.0"
values = ["static", "dyn", "auto"]
default = "auto"
name = "git2"
version = "0.2.0"
# renamed "dyn" to "dynamic", added "pure"
values = ["static", "dynamic", "pure"]
default = "pure"
name = "git2-user"
version = "0.0.0"
# if used in a library crate influences only tests, benhcmarks, examples, etc.
# and does not influences downstream users
package = "git2"
# if both git2 v0.1 and v0.2 are included in the dependency tree,
# then this global value will be applied to both
name = "sys"
value = "static"
Alternative configurations:
name = "git2-user"
version = "0.0.0"
package = "git2"
name = "sys"
# This value is pplied only to git2 v0.1,
# while v0.2 will use the default value "pure"
version = "0.1"
value = "dyn"
name = "git2-user"
version = "0.0.0"
package = "git2"
name = "sys"
version = "0.1"
value = "static"
package = "git2"
-- Crystal structures, kept here for reference --
'''
Record 1
The following is a PBE calculation of crystalline HoPdAu2 at its relaxed geometry, from Alexandria.

Lattice parameters (Å, degrees): 5.345 5.235 4.164 68.23 65.44 46.34
Element x y z (fractional)
Ho1 0.000 0.000 0.000
Pd1 0.500 0.500 0.500
Au1 0.250 0.250 0.250
Au2 0.750 0.750 0.750

Properties
For the total magnetization, the calculation gives 0.00 Bohr magnetons per cell. As for the density of states at the Fermi level: 1.4 states/eV/f.u. The formation energy comes out at -0.771 eV per atom. The volume comes out at 76.0 Å³ per cell.

***

Record 2
The following is a PBE calculation of crystalline La7Tb2Tm3 at its relaxed geometry, from Alexandria.

Lattice parameters (Å, degrees): 6.519 3.573 17.721 90.00 95.56 90.00
Element x y z (fractional)
La1 0.000 0.000 0.000
La2 0.229 0.500 0.174
La3 0.262 0.500 0.491
La4 0.278 0.000 0.833
La5 0.722 0.000 0.167
La6 0.738 0.500 0.509
La7 0.771 0.500 0.826
Tb1 0.058 0.500 0.670
Tb2 0.942 0.500 0.330
Tm1 0.460 0.000 0.339
Tm2 0.500 0.500 0.000
Tm3 0.540 0.000 0.661

Properties
For the total magnetization, the calculation gives 0.00 Bohr magnetons per cell. As for the density of states at the Fermi level: 16.3 states/eV/f.u. The formation energy comes out at 0.065 eV per atom. The volume comes out at 410.8 Å³ per cell.

***

Record 3
The following is a PBE calculation of crystalline Nd6In3Sb at its relaxed geometry, from Alexandria.

Lattice parameters (Å, degrees): 10.281 10.281 6.961 90.00 90.00 120.86
Element x y z (fractional)
Nd1 0.014 0.986 0.500
Nd2 0.089 0.551 0.983
Nd3 0.247 0.373 0.724
Nd4 0.282 0.718 0.511
Nd5 0.373 0.247 0.224
Nd6 0.449 0.911 0.983
Nd7 0.551 0.089 0.483
Nd8 0.627 0.753 0.724
Nd9 0.718 0.282 0.011
Nd10 0.753 0.627 0.224
Nd11 0.911 0.449 0.483
Nd12 0.986 0.014 0.000
In1 0.100 0.315 0.272
In2 0.315 0.100 0.772
In3 0.413 0.587 0.152
In4 0.587 0.413 0.652
In5 0.685 0.900 0.272
In6 0.900 0.685 0.772
Sb1 0.148 0.852 0.204
Sb2 0.852 0.148 0.704

Properties
For the total magnetization, the calculation gives 0.00 Bohr magnetons per cell. As for the density of states at the Fermi level: 9.0 states/eV/f.u. The volume comes out at 631.6 Å³ per cell. The calculation puts the uncorrected formation energy at -0.39 eV/atom.

***

Record 4
The following is a PBE calculation of crystalline KSr2AgRh at its relaxed geometry, from Alexandria.

Lattice parameters (Å, degrees): 6.135 6.135 5.040 90.00 90.00 90.00
Element x y z (fractional)
K1 0.000 0.000 0.000
Sr1 0.000 0.500 0.000
Sr2 0.500 0.000 0.000
Ag1 0.000 0.000 0.500
Rh1 0.500 0.500 0.500

Properties
For the total magnetization, the calculation gives 0.18 Bohr magnetons per cell. As for the density of states at the Fermi level: 5.0 states/eV/f.u. The formation energy comes out at 1.199 eV per atom. The volume comes out at 189.7 Å³ per cell.

***

Record 5
The following is a PBE calculation of crystalline CaPuSn4 at its relaxed geometry, from Alexandria.

Lattice parameters (Å, degrees): 6.202 6.202 6.202 60.00 60.00 60.00
'''
-- Back to the piece --
name = "sys"
version = "0.2"
value = "dynamic"
This approach may result in compiler warnings (or errors) on cargo update
(e.g. after update from git2 v0.1 to v0.2). On the first glance it looks like a drawback, but I believe it's an advantage, since users would be notified about changes in their dependencies on which they may rely.
One of recommendations for using globals would be that they should not influence public API of the crate. They may do it, but API changes should be additive and intended only for root-level crates.
I think it's a bad idea to use globals for these because they commonly influence public API. Library crates would need an ability to declare that they require a global to be set, which opens a big can of compatibility worms.
The existing crate features work mostly fine for these use cases. If we want improve ergonomics in this area, it's probably better to develop a separate feature for "shared" crate features.
The first two comments in this thread (at least) cover some of this topic. Global or per-crate each come with their own trade offs and would need to be explored in moving this forward.